Biodiversity Net Gain Assessment Report

February 2024 marked the first time that biodiversity net gain (BNG) was enforced as a legal requirement in the planning process. It acts as a long-term protective and enhancement measure for the natural environment from the Environment Act 2021. To achieve BNG, developers are inclined to prove to the local planning authorities that biodiversity has been improved to a measurably better state on their development site for a minimum of 30 years.

Mandatory BNG is expected to be a permanent element of planning moving forward, and due to that, developers are urged to grow an understanding of the concept and everything it entails. One important factor is that without a biodiversity net gain report, the local planning authority will not even consider an application for planning permission. In this blog, Arbtech helps any uncertain developers with a deep dive into what a BNG report does and why it’s important.

Difference Between a BNG Report and a BNG Plan

_Misplaced crystal structures_
Entry 1:
Structure and calculated powder X-ray diffraction pattern of CeY4Tm10 (DFT lattice parameters and positions (PBE); λ = 1.5418 Å (Cu Kα)).

```
CeY4Tm10
1.0
-5.5227 5.5227 3.9264
5.5227 -5.5227 3.9264
5.5227 5.5227 -3.9264
Ce Y Tm
1 4 10
Direct
0.0000 0.0000 0.0000
0.2276 0.2276 0.4553
0.2276 0.7724 0.0000
0.7724 0.2276 0.0000
0.7724 0.7724 0.5447
0.0880 0.2947 0.7932
0.2500 0.7500 0.5000
0.2947 0.0880 0.7932
0.2947 0.5015 0.2068
0.4985 0.7053 0.7932
0.5015 0.2947 0.2068
0.7053 0.4985 0.7932
0.7053 0.9120 0.2068
0.7500 0.2500 0.5000
0.9120 0.7053 0.2068
```

Main lines, by angle (2θ from 10° to 80°):
2θ/deg, I/Imax
22.6, 20.3
25.5, 18.1
27.9, 20.9
31.3, 26.0
32.4, 100.0
34.4, 50.0
35.2, 19.5
41.6, 41.6
67.0, 15.6
69.0, 19.4

Entry 2:
Structure and calculated powder X-ray diffraction pattern of CeYTm6 (DFT lattice parameters and positions (PBE); λ = 1.5418 Å (Cu Kα)).

```
CeYTm6
1.0
6.4254 0.0000 0.0000
-0.0899 6.6796 0.0000
-1.5299 -3.2380 5.7744
Ce Y Tm
1 1 6
Direct
0.0000 0.0000 0.0000
0.5000 0.0000 0.0000
0.2289 0.9035 0.4747
0.2486 0.4510 0.9987
0.2662 0.4268 0.5184
0.7338 0.5732 0.4816
0.7514 0.5490 0.0013
0.7711 0.0965 0.5253
```

Main lines, by angle (2θ from 10° to 80°):
2θ/deg, I/Imax
28.8, 62.7
30.7, 55.9
31.0, 100.0
31.2, 42.1
32.1, 28.1
32.7, 33.9
34.5, 32.0
34.6, 18.8
35.8, 26.5
36.5, 22.8

Entry 3:
Structure and calculated powder X-ray diffraction pattern of Ce2YTm (DFT lattice parameters and positions (PBE); λ = 1.5418 Å (Cu Kα)).

```
Ce2YTm
1.0
3.4667 0.0000 0.0000
0.0000 3.4667 0.0000
0.0000 0.0000 10.0970
Ce Y Tm
2 1 1
Direct
0.0000 0.0000 0.2463
0.0000 0.0000 0.7537
0.5000 0.5000 0.5000
0.5000 0.5000 0.0000
```

Main lines, by angle (2θ from 10° to 80°):
2θ/deg, I/Imax
27.2, 2.4
31.3, 100.0
35.6, 17.7
36.7, 32.7
52.0, 23.8
52.8, 11.4
61.2, 14.4
62.7, 27.1
65.3, 11.9
78.0, 3.6

Entry 4:
Structure and calculated powder X-ray diffraction pattern of CeY4Tm7 (DFT lattice parameters and positions (PBE); λ = 1.5418 Å (Cu Kα)).

```
CeY4Tm7
1.0
9.3306 -3.4186 0.0000
9.3306 3.4186 0.0000
-0.0308 0.0000 5.9092
Ce Y Tm
1 4 7
Direct
0.0000 0.0000 0.0000
0.1323 0.5936 0.2539
0.4064 0.8677 0.7461
0.5936 0.1323 0.2539
0.8677 0.4064 0.7461
0.0000 0.0000 0.5000
0.1865 0.1865 0.2509
0.2863 0.2863 0.7558
0.4604 0.4604 0.7493
0.5396 0.5396 0.2507
0.7137 0.7137 0.2442
0.8135 0.8135 0.7491
```

Main lines, by angle (2θ from 10° to 80°):
2θ/deg, I/Imax
26.1, 41.8
30.2, 35.4
31.2, 26.6
31.7, 100.0
32.5, 90.9
32.6, 40.5
33.4, 35.6
36.2, 25.2
52.8, 22.0
64.1, 20.3

Entry 5:
Structure and calculated powder X-ray diffraction pattern of CeY3Tm4 (DFT lattice parameters and positions (PBE); λ = 1.5418 Å (Cu Kα)).

```
CeY3Tm4
1.0
11.6810 -1.7004 0.0000
11.6810 1.7004 0.0000
-1.8901 0.0000 6.3839
Ce Y Tm
1 3 4
Direct
0.0000 0.0000 0.0000
0.3732 0.3732 0.6294
0.5000 0.5000 0.5000
0.6268 0.6268 0.3706
0.2407 0.2407 0.2329
0.3749 0.3749 0.1162
0.6251 0.6251 0.8838
0.7593 0.7593 0.7671
```

Main lines, by angle (2θ from 10° to 80°):
2θ/deg, I/Imax

It is common for a report and plan to be addressed as one and the same during biodiversity net gain assessments. Although both are similar and generally appear together, each document has a different purpose that contributes to the continued success of new developments and the act of supplying sufficient biodiversity net gain information to meet the requirement. A report and plan will eventually go on to provide an equally important role in supporting your planning application to the local authority.

A biodiversity net gain report would detail the findings from the survey such as the ecological features on the development site, metric readings and any important observations. A biodiversity gain plan, on the other hand, would outline the steps needed to retain the standard of the site and build on it by the 10% minimum increase. Both are vital to the planning process, but as they are often paired together, a BNG report or BNG plan could be a term used to incorporate both documents into one.

an ecological consultant writing up a biodiversity net gain report in a wooded area

Features of a Biodiversity Net Gain Report

Multiple vital and universal components appear within a biodiversity net gain report to give the local authorities all they need to ease planning decisions and provide developers with sufficient insight to guide their development plans. In the section below, we break down each attribute of a BNG report, including the baseline and impact assessments, calculations and metrics, utilisation of the mitigation hierarchy, and the potential for using statutory biodiversity credits.

Baseline Assessment

Across a prior desk study of known existing habitat in the local vicinity and a physical inspection of the site including all animal and plant species, an ecological consultant will be able to establish the current biodiversity value within the red line boundary. BNG assessments involve a comprehensive attention to detail, with each element possessing a unitary value that will accurately reflect the state of the development site.

Once all the readings are added together, a resulting figure will be created. The pre-development figure will include all attributes of the affected area and enable the ecological surveyor to harness an extensive understanding of the site’s biodiversity before any development works take place. A pivotal part of measuring biodiversity and executing sufficient net gains, the reading will dictate how the remainder of the BNG survey process plays out.

Impact Assessment

In order to be able to make comparisons with the state of the natural environment after the development, the ecologist must create a biodiversity value that reflects the predicted condition of the site. Between a complete review of all development plans and in-depth conversations with the developer and anyone else involved in the planning project, it will be possible for a BNG consultant to formulate a reading that incorporates all biodiversity outcomes from the project.

All factors will be worked into the post-development figure, including any habitat loss caused by the removal of natural features or any habitat gain from operating with a sustainable or green approach. Using pre-development and post-development figures makes it possible to convert current and future assets all over the site into numerical data sets. Both numbers can then be analysed and compared to secure the 10% gain and meet the BNG objective.

Biodiversity Metric Calculations

Since the concept of BNG requirements was first announced in 2019, the Department for the Environment, Food and Rural Affairs (DEFRA) led the way in providing the statutory biodiversity metric. It has been updated several times since then, with DEFRA producing altered versions of the biodiversity metric based on feedback from professional ecologists, consultations with various groups and changes to laws affecting planning and ecology from the government.

DEFRA has also opened up the possibility of creating different metrics, such as a small sites metric that was released in April 2024 to achieve biodiversity net gain on any developments involving a small site. That said, all metrics will be used the same way, with the resulting pre-development and post-development values of biodiversity compared with each other to establish any deficit between the two before navigating a way to secure the 10% requirement.

Mitigation and Compensation Measures

Referring to the results of the biodiversity calculation, the ecological consultant will decide on the best ways of generating new habitat creation, counteracting any negative impact on the site and enhancing biodiversity. As with ecological surveys, a biodiversity gain hierarchy system will be used, with avoidance of ecological features coming as the priority outcome, then followed by minimisation of damage, restoration of other features, and offsetting to elsewhere.

By following the steps in the hierarchy, the legal requirements can be met correctly without unnecessarily harming rare or valuable ecological assets. It also avoids any exercises that aren’t needed if the quantity of habitat lost is only minimal, such as the process of creating new habitats or adding more trees and hedgerows to the site. Chosen measures will vary depending on the further information taken from the site during the baseline and impact assessment stages.

Off-Site Gains

A biodiversity net gain consultant will always do everything possible to see the legal agreement achieved on-site. It isn’t, however, always viable, and whenever that happens, they will be left with the last resort option of investing in off-site biodiversity gains. The biodiversity units needed to deliver BNG have already been confirmed over the previous steps, so the developer would just need to purchase statutory biodiversity credits of the same quantity.

After lots of changes to the system, biodiversity offsetting is now carried out within a set structure. A BNG register exists for indexing all available sites and a land agent can be used to target a specific land use or ensure that the number of excess units can be bought as off-site biodiversity units. Landowners across the country own land specifically for selling to developers as biodiversity credits, compensating for any biodiversity units that cannot be made up on-site.

Why is a BNG Report Important?

With local authorities demanding evidence of compliance with the BNG policy, a biodiversity net gain report couldn’t be more crucial for ensuring that all of the boxes are ticked. Only a BNG report will be able to confirm the current and predicted state of the site, and as it will be acknowledged as trustworthy, reliable and accurate information, it will influence the planning officer’s decision when it comes to granting or denying planning conditions.

As well as matching the parameters of the local planning authority, a biodiversity gain report also sees developers falling in line with other planning obligations, such as local nature recovery strategies (LNRS), nationally significant infrastructure projects, sites of special scientific interest (SSI), and any sites with current protective measures in place, such as a conservation covenant. It also coincides with the aims of each relevant responsible body, including CIEEM, DEFRA and Natural England.

Refer to the Ecological Consultants at Arbtech

Before you can achieve biodiversity net gain on your development site, you will need a BNG report containing a reading of the site’s current and predicted biodiversity value using the latest biodiversity metric, on-site or off-site changes, and any other information that will contribute to improving nets gains of biodiversity to a measurably better state. With that, you should see no substantial problems with obtaining planning applications.

Clients rely on Arbtech for past, present and future development projects, and throughout the rise of biodiversity net gain, we’ve maintained an updated knowledge and expertise in the policy, conducting assessments for it and assembling plans and reports. To discuss your options, visit our site to complete a quote form, call us directly, email us or visit our socials. Based on your details, we can send you a free quote for any assessments on your development.